Thought Leaders - Page 10

Tap into advice and insights from some of the business world's foremost thought leaders, and find out what it takes to join them.


Having Time Management Problems? Then You Must Do One Thing to Avoid These 3 Consequences

If you feel you don't have enough time to do it all, you're not alone. But doing this one simple activity every week can and will change everything for you.

Thought Leaders

The Era of Faceless Branding Is Over — Here's Why Modern Brands Fail and Publicity Reigns Supreme in 2024

No longer can a brand hide behind its company logo and expect to thrive.

Starting a Business

Get Over Imposter Syndrome and These 4 Other Hurdles of Being a New Entrepreneur With Help from Netflix's Co-Founder

Netflix co-founder breaks down five questions that most new entrepreneurs have and what you need to ask yourself to jump through the first stages of creating your own business.

More Posts on Thought Leaders


Are the Days of Good Customer Service Over? These 7 Hacks Can Bring it to Life at Your Company

Blow away the competition by using customer service and customer experience to make your company stand out, and to build true customer engagement and loyalty — while inspiring your employees as well.

Business News

He Owns and Operates a Dozen Popular Nightlife Venues in New York — Here's How He Kept All of His Businesses Afloat in a Crisis

Thatcher Shultz tells us how to innovate — and stay in business — when your industry is hit hard.

Starting a Business

These Four Words Can Change The Way You Approach Every Impossible Task

When a door closes, this is the question that opens a window.

Growing a Business

The Founder of Is Now in the Baby Business — and Her Best Success Tips Are Relevant to All Entrepreneurs

Super-founder Fran Maier has been building businesses for more than 25 years.

Growing a Business

=====
Entry 1:
{"formula": "ScGa", "functional": "r²SCAN", "state": "optimized geometry", "lattice_angstrom": [[2.033, -5.091, 0.000], [2.033, 5.091, 0.000], [0.000, 0.000, 3.858]], "species": ["Sc", "Sc", "Ga", "Ga"], "fractional_positions": [[0.138, 0.862, 0.750], [0.862, 0.138, 0.250], [0.419, 0.581, 0.750], [0.581, 0.419, 0.250]], "dft_energy_ev_per_atom": -12.0981, "ef_ev_per_atom": -0.68, "space_group": "No. 63"}

Entry 2:
{"formula": "K4ZnP2", "functional": "r²SCAN", "state": "optimized geometry", "lattice_angstrom": [[2.818, 1.627, 8.696], [-2.818, 1.627, 8.696], [0.000, -3.254, 8.696]], "species": ["K", "K", "K", "K", "Zn", "P", "P"], "fractional_positions": [[0.115, 0.115, 0.115], [0.291, 0.291, 0.291], [0.709, 0.709, 0.709], [0.885, 0.885, 0.885], [0.500, 0.500, 0.500], [0.416, 0.416, 0.416], [0.584, 0.584, 0.584]], "dft_energy_ev_per_atom": -7.7975, "ef_ev_per_atom": -0.51, "space_group": "No. 166"}

Entry 3:
{"formula": "NdClO", "functional": "r²SCAN", "state": "optimized geometry", "lattice_angstrom": [[4.049, 0.000, 0.000], [0.000, 4.049, 0.000], [0.000, 0.000, 6.789]], "species": ["Nd", "Nd", "Cl", "Cl", "O", "O"], "fractional_positions": [[0.250, 0.250, 0.174], [0.750, 0.750, 0.826], [0.250, 0.250, 0.628], [0.750, 0.750, 0.372], [0.250, 0.750, 0.000], [0.750, 0.250, 0.000]], "dft_energy_ev_per_atom": -17.2233, "ef_ev_per_atom": -3.38, "space_group": "No. 129"}

Entry 4:
{"formula": "TbGa3Ni", "functional": "r²SCAN", "state": "optimized geometry", "lattice_angstrom": [[2.915, -2.920, 0.000], [2.915, 2.920, 0.000], [-2.906, 0.000, 5.078]], "species": ["Tb", "Ga", "Ga", "Ga", "Ni"], "fractional_positions": [[0.000, 0.000, 0.000], [0.251, 0.750, 0.499], [0.415, 0.415, 0.830], [0.750, 0.251, 0.499], [0.641, 0.641, 0.279]], "dft_energy_ev_per_atom": -16.1497, "ef_ev_per_atom": -0.64, "space_group": "No. 8"}

Entry 5:
{"formula": "YbPrRh2", "functional": "r²SCAN", "state": "optimized geometry", "lattice_angstrom": [[0.000, 3.453, 3.453], [3.453, 0.000, 3.453], [3.453, 3.453, 0.000]], "species": ["Yb", "Pr", "Rh", "Rh"], "fractional_positions": [[0.000, 0.000, 0.000], [0.500, 0.500, 0.500], [0.250, 0.250, 0.250], [0.750, 0.750, 0.750]], "dft_energy_ev_per_atom": -29.3430, "ef_ev_per_atom": -0.79, "space_group": "No. 225"}

Entry 6:
=====
[The piece goes on]

Want to Scale Up Without Selling Out? Do This First

Solidify your vision and culture to fuel sustainable growth.


Many Confident Leaders Resist Change — And These 5 Emotional Wounds Could Be to Blame

Five core emotional wounds keep low-conscious leaders from embracing the uncertainty of change, which can stunt the growth and innovation of their organizations — and negatively influence employees, culture, and the bottom line.

Money & Finance

These 5 Economic Trends Will Drive Consumer Spending in 2024

Consumers have been spending like there's no tomorrow — but has tomorrow finally arrived?


Asking the Right Questions in These 5 Circumstances Is Crucial to Your Company's Growth

Effective questioning keeps communication lines open, creating new opportunities for growth and establishing a culture of unity.

Business News

He Built a Personal Finance App That Manages $8 Billion for Half a Million Customers. Here Is the CEO of M1's Hard-Earned Advice for Future Founders.

On this episode of "The CEO Series," M1 founder and CEO Brian Barnes shares how his passion for investing led to the creation of this powerful personal finance app.


Women Are More Likely to Be Laid Off Than Promoted in Tech — Here's How We Can Change the Status Quo

In the face of a tech industry where women are more likely to be laid off than be promoted to leadership positions, it's time to hack the system and reboot the gender balance for good to turbocharge innovation and propel the industry.

Employee Experience & Recruiting

How Job Seekers Can Craft the Ideal Application — and How Employers Can Create a Job Listing That Attracts the Right Candidates

Are you a small business looking for a new hire, or a job seeker who's not getting any callbacks? Here are some tips to get you through the door as a candidate, and get the right applicants through your door as a company looking to hire.